== Request ==
Please find "-0.4347 0.695" and "-4.3842 0.0575" in the block further down, and repeat these two lines and those between.
== Listing ==
=====
118
Properties=species:S:1:pos:R:3:mulliken_charge:R:1 method="wB97M-V/def2-TZVPD" homo_lumo_gap_ev=7.526 fmax_ev_per_a=0.4 lumo_ev=-2.19 homo_ev=-9.72 charge=+1 relative_energy_kcal_mol=1.17
In -0.3738 -0.2908 -1.2118 1.115
C 2.7810 2.9056 -0.5267 -2.316
N 3.4188 2.3533 0.6409 1.182
C 3.9103 0.9852 0.5991 -1.522
P 3.0468 -0.1522 -0.5944 0.881
C 3.7655 -1.7194 0.0040 0.746
C 3.3586 -2.1705 1.2628 -0.630
C 3.7782 -3.3992 1.7446 -0.808
C 4.6044 -4.2044 0.9694 -0.539
C 5.0044 -3.7703 -0.2848 -0.749
C 4.5897 -2.5344 -0.7653 -0.473
C 3.9651 0.1832 -2.1428 0.128
C 5.3582 0.2359 -2.2111 -0.337
C 5.9966 0.5483 -3.4003 -0.871
C 5.2521 0.8122 -4.5442 -0.548
C 3.8680 0.7546 -4.4956 -0.484
C 3.2334 0.4343 -3.3012 -0.173
C 4.1543 3.2162 1.4944 -0.070
C 4.2305 2.9157 2.8545 -0.201
C 4.9317 3.7377 3.7195 -0.756
C 5.5574 4.8863 3.2500 -0.532
C 5.4831 5.1903 1.9007 -0.846
C 4.7983 4.3570 1.0242 -0.032
P 0.9495 2.5244 -0.4347 0.695
C 0.5593 3.2038 1.2042 0.735
C -0.2191 2.4277 2.0589 -0.713
C -0.5245 2.8733 3.3398 -0.667
C -0.0507 4.1024 3.7709 -0.604
C 0.7244 4.8871 2.9238 -0.910
C 1.0238 4.4426 1.6476 -0.196
C 0.2802 3.7500 -1.6124 0.719
C 0.6618 3.6340 -2.9534 -0.753
C 0.1543 4.4957 -3.9148 -0.591
C -0.7494 5.4870 -3.5495 -0.546
C -1.1391 5.6048 -2.2228 -0.903
C -0.6316 4.7417 -1.2597 -0.379
H 3.2054 2.5454 -1.4677 0.684
H 2.8702 3.9903 -0.5234 0.935
H 3.7947 0.5258 1.5807 0.691
H 4.9824 0.9574 0.3637 0.378
H 2.6895 -1.5672 1.8668 0.358
H 3.4535 -3.7332 2.7208 0.432
H 4.9332 -5.1643 1.3432 0.402
H 5.6457 -4.3922 -0.8953 0.439
H 4.9161 -2.2114 -1.7471 0.361
H 5.9535 0.0316 -1.3290 0.461
H 7.0770 0.5895 -3.4357 0.425
H 5.7533 1.0568 -5.4710 0.408
H 3.2829 0.9561 -5.3832 0.457
H 2.1499 0.3904 -3.2697 0.287
H 3.7070 2.0508 3.2408 0.356
H 4.9701 3.4914 4.7724 0.389
H 6.0946 5.5339 3.9288 0.426
H 5.9737 6.0748 1.5160 0.407
H 4.7827 4.5977 -0.0309 0.460
H -0.5891 1.4655 1.7216 0.355
H -1.1258 2.2603 3.9979 0.487
H -0.2801 4.4510 4.7691 0.409
H 1.1025 5.8424 3.2629 0.457
H 1.6326 5.0624 1.0006 0.434
H 1.3697 2.8665 -3.2509 0.233
H 0.4725 4.4040 -4.9449 0.471
H -1.1316 6.1738 -4.2929 0.399
H -1.8325 6.3833 -1.9298 0.446
H -0.9408 4.8490 -0.2272 0.435
Cl -1.3459 -2.1132 0.8817 -0.383
N 0.9750 -2.9053 -1.9618 -0.366
H 1.4607 -3.0977 -1.0914 0.110
H 1.6935 -2.7357 -2.6586 0.180
H 0.5069 -3.7655 -2.2274 0.197
N -3.8284 3.0419 -0.3810 -0.349
C -2.9526 2.3337 -1.1310 0.063
N -2.8503 2.6808 -2.4419 -0.336
O -2.3133 1.3996 -0.6423 -0.257
H -4.4293 3.7457 -0.7683 0.195
H -3.9772 2.7373 0.5657 0.231
H -3.1493 3.5958 -2.7335 0.247
H -2.0343 2.3275 -2.9174 0.161
C -4.4562 -6.1010 1.7178 -1.039
Si -2.8567 -5.2703 1.2322 0.388
C -1.6239 -5.3265 2.6283 -1.053
C -2.1219 -6.0917 -0.2813 -0.864
Si -3.3267 -3.0443 0.6665 0.109
Si -4.4968 -1.7148 2.1950 0.290
C -4.3842 0.0575 1.6187 -0.708
C -6.2724 -2.2679 2.3190 -1.034
C -3.6289 -1.8956 3.8341 -1.057
Si -4.1146 -2.8706 -1.5342 0.270
C -4.8895 -1.1993 -1.8167 -0.595
C -5.4554 -4.1783 -1.6102 -1.102
C -2.8495 -3.2054 -2.8619 -0.818
H -4.2836 -7.1344 2.0257 0.401
H -5.1593 -6.1139 0.8823 0.290
H -4.9337 -5.5797 2.5497 0.269
H -1.1265 -6.2990 2.6187 0.395
H -2.1084 -5.2026 3.5982 0.302
H -0.8616 -4.5526 2.5357 0.258
H -1.6306 -7.0252 0.0023 0.454
H -1.3767 -5.4530 -0.7613 0.050
H -2.8838 -6.3257 -1.0258 0.288
H -5.0601 0.2527 0.7862 0.328
H -3.3716 0.3074 1.2940 -0.170
H -4.6552 0.7216 2.4444 0.561
H -6.7929 -2.1644 1.3646 0.298
H -6.8029 -1.6615 3.0566 0.400
H -6.3463 -3.3119 2.6286 0.289
H -2.6287 -1.4620 3.7921 0.252
H -3.5288 -2.9404 4.1334 0.263
H -4.1964 -1.3760 4.6102 0.386
=====
== Reply ==
P 0.9495 2.5244 -0.4347 0.695
C 0.5593 3.2038 1.2042 0.735
C -0.2191 2.4277 2.0589 -0.713
C -0.5245 2.8733 3.3398 -0.667
C -0.0507 4.1024 3.7709 -0.604
C 0.7244 4.8871 2.9238 -0.910
C 1.0238 4.4426 1.6476 -0.196
C 0.2802 3.7500 -1.6124 0.719
C 0.6618 3.6340 -2.9534 -0.753
C 0.1543 4.4957 -3.9148 -0.591
C -0.7494 5.4870 -3.5495 -0.546
C -1.1391 5.6048 -2.2228 -0.903
C -0.6316 4.7417 -1.2597 -0.379
H 3.2054 2.5454 -1.4677 0.684
H 2.8702 3.9903 -0.5234 0.935
H 3.7947 0.5258 1.5807 0.691
H 4.9824 0.9574 0.3637 0.378
H 2.6895 -1.5672 1.8668 0.358
H 3.4535 -3.7332 2.7208 0.432
H 4.9332 -5.1643 1.3432 0.402
H 5.6457 -4.3922 -0.8953 0.439
H 4.9161 -2.2114 -1.7471 0.361
H 5.9535 0.0316 -1.3290 0.461
H 7.0770 0.5895 -3.4357 0.425
H 5.7533 1.0568 -5.4710 0.408
H 3.2829 0.9561 -5.3832 0.457
H 2.1499 0.3904 -3.2697 0.287
H 3.7070 2.0508 3.2408 0.356
H 4.9701 3.4914 4.7724 0.389
H 6.0946 5.5339 3.9288 0.426
H 5.9737 6.0748 1.5160 0.407
H 4.7827 4.5977 -0.0309 0.460
H -0.5891 1.4655 1.7216 0.355
H -1.1258 2.2603 3.9979 0.487
H -0.2801 4.4510 4.7691 0.409
H 1.1025 5.8424 3.2629 0.457
H 1.6326 5.0624 1.0006 0.434
H 1.3697 2.8665 -3.2509 0.233
H 0.4725 4.4040 -4.9449 0.471
H -1.1316 6.1738 -4.2929 0.399
H -1.8325 6.3833 -1.9298 0.446
H -0.9408 4.8490 -0.2272 0.435
Cl -1.3459 -2.1132 0.8817 -0.383
N 0.9750 -2.9053 -1.9618 -0.366
H 1.4607 -3.0977 -1.0914 0.110
H 1.6935 -2.7357 -2.6586 0.180
H 0.5069 -3.7655 -2.2274 0.197
N -3.8284 3.0419 -0.3810 -0.349
C -2.9526 2.3337 -1.1310 0.063
N -2.8503 2.6808 -2.4419 -0.336
O -2.3133 1.3996 -0.6423 -0.257
H -4.4293 3.7457 -0.7683 0.195
H -3.9772 2.7373 0.5657 0.231
H -3.1493 3.5958 -2.7335 0.247
H -2.0343 2.3275 -2.9174 0.161
C -4.4562 -6.1010 1.7178 -1.039
Si -2.8567 -5.2703 1.2322 0.388
C -1.6239 -5.3265 2.6283 -1.053
C -2.1219 -6.0917 -0.2813 -0.864
Si -3.3267 -3.0443 0.6665 0.109
Si -4.4968 -1.7148 2.1950 0.290
C -4.3842 0.0575 1.6187 -0.708